== What to do ==
Could you transcribe the rows further below from the first line to the one with "26.71" word for word?

== Material ==
=====
Record 1
Diffraction record for BiC3O6. The powder diffraction line list is simulated, not measured: it uses the PBE geometry in the Materials Project and Cu Kα.

Top 10 peaks for 5 to 70 degrees two-theta, sorted by position:
| h k l | two_theta | I (rel.) |
| --- | --- | --- |
| 1 1 0 | 16.26 | 100 |
| 0 1 1 | 22.84 | 41 |
| 2 0 1 | 28.17 | 20 |
| 3 0 0 | 28.36 | 16 |
| 1 2 1 | 32.70 | 53 |
| 2 2 0 | 32.86 | 29 |
| 3 1 1 | 40.40 | 24 |
| 1 0 2 | 43.42 | 13 |
| 4 1 0 | 43.95 | 15 |
| 2 3 1 | 47.04 | 19 |

Structure:
Cell: 10.9012 10.9012 4.2733 Å, 90.00 90.00 120.00°
Space group P3m1 (No. 156)
Symmetry-distinct sites (fractional):
Bi: 0.0000 0.0000 0.0000 (multiplicity 1)
Bi: 0.3333 0.6667 0.2954 (multiplicity 1)
Bi: 0.6667 0.3333 0.6421 (multiplicity 1)
C: 0.1815 0.3631 0.8794 (multiplicity 3)
C: 0.2997 0.1499 0.5505 (multiplicity 3)
C: 0.5164 0.0328 0.1998 (multiplicity 3)
O: 0.0641 0.5320 0.3933 (multiplicity 3)
O: 0.1357 0.2713 0.0852 (multiplicity 3)
O: 0.1673 0.0837 0.5684 (multiplicity 3)
O: 0.2479 0.4959 0.8774 (multiplicity 3)
O: 0.3974 0.1987 0.7419 (multiplicity 3)
O: 0.5826 0.1653 0.2146 (multiplicity 3)



Record 2
Diffraction record for FeSnRh2. The powder diffraction line list is simulated, not measured: it uses the PBE geometry in the Materials Project and Cu Kα.

Top 10 peaks for 5 to 70 degrees two-theta, sorted by position:
| h k l | two_theta | I (rel.) |
| --- | --- | --- |
| 1 0 1 | 24.81 | 8 |
| 1 1 0 | 30.36 | 1 |
| 1 1 2 | 39.83 | 100 |
| 2 0 0 | 43.47 | 39 |
| 1 0 3 | 44.12 | 2 |
| 2 1 1 | 50.69 | 3 |
| 0 0 4 | 51.65 | 12 |
| 2 2 0 | 63.16 | 13 |
| 2 1 3 | 63.66 | 2 |
| 2 0 4 | 69.75 | 19 |

Structure:
Cell: 4.1639 4.1639 7.0783 Å, 90.00 90.00 90.00°
Space group I4/mmm (No. 139)
Symmetry-distinct sites (fractional):
Fe: 0.0000 0.0000 0.0000 (multiplicity 2)
Sn: 0.0000 0.0000 0.5000 (multiplicity 2)
Rh: 0.0000 0.5000 0.2500 (multiplicity 4)



Record 3
Diffraction record for BaIn2Au2. The powder diffraction line list is simulated, not measured: it uses the PBE geometry in the Materials Project and Cu Kα.

Top 10 peaks for 5 to 70 degrees two-theta, sorted by position:
| h k l | two_theta | I (rel.) |
| --- | --- | --- |
| 1 0 3 | 23.40 | 25 |
| 2 1 1 | 28.08 | 46 |
| 1 1 3 | 29.88 | 100 |
| 3 0 2 | 33.25 | 31 |
| 3 1 1 | 36.10 | 31 |
| 3 0 3 | 36.98 | 23 |
| 0 2 0 | 37.14 | 56 |
| 0 1 5 | 40.35 | 27 |
| 3 1 3 | 41.57 | 22 |
| 2 1 5 | 45.36 | 25 |

Structure:
Cell: 8.9426 4.8414 12.6015 Å, 90.00 90.00 90.00°
Space group Pnma (No. 62)
Symmetry-distinct sites (fractional):
Ba: 0.2201 0.2500 0.1664 (multiplicity 4)
In: 0.1019 0.2500 0.4507 (multiplicity 4)
In: 0.1406 0.2500 0.8584 (multiplicity 4)
Au: 0.0260 0.7500 0.3361 (multiplicity 4)
Au: 0.0899 0.7500 0.9789 (multiplicity 4)



Record 4
Diffraction record for DyAu. The powder diffraction line list is simulated, not measured: it uses the PBE geometry in the Materials Project and Cu Kα.

Top 5 peaks for 5 to 70 degrees two-theta, sorted by position:
| h k l | two_theta | I (rel.) |
| --- | --- | --- |
| 1 0 0 | 24.68 | 1 |
| 1 1 0 | 35.19 | 100 |
| 2 0 0 | 50.62 | 18 |
| 2 1 0 | 57.10 | 1 |
| 2 1 1 | 63.14 | 37 |

Structure:
Cell: 3.6067 3.6067 3.6067 Å, 90.00 90.00 90.00°
Space group Pm-3m (No. 221)
Symmetry-distinct sites (fractional):
Dy: 0.0000 0.0000 0.0000 (multiplicity 1)
Au: 0.5000 0.5000 0.5000 (multiplicity 1)



Record 5
Diffraction record for Al2CuIr. The powder diffraction line list is simulated, not measured: it uses the PBE geometry in the Materials Project and Cu Kα.

Top 10 peaks for 5 to 70 degrees two-theta, sorted by position:
| h k l | two_theta | I (rel.) |
| --- | --- | --- |
| 0 2 0 | 21.85 | 27 |
| 1 1 1 | 26.71 | 100 |
| 0 2 1 | 27.75 | 26 |
| 1 1 2 | 40.20 | 46 |
| 0 2 2 | 40.93 | 40 |
| 1 3 1 | 41.44 | 32 |
| 2 2 0 | 41.77 | 70 |
| 0 4 0 | 44.55 | 29 |
| 2 0 2 | 49.84 | 22 |
| 2 4 2 | 69.05 | 29 |

Structure:
Cell: 5.1059 8.1350 5.2479 Å, 90.00 90.00 90.00°
Space group Cmme (No. 67)
Symmetry-distinct sites (fractional):
=====

== Response ==
Record 1
Diffraction record for BiC3O6. The powder diffraction line list is simulated, not measured: it uses the PBE geometry in the Materials Project and Cu Kα.

Top 10 peaks for 5 to 70 degrees two-theta, sorted by position:
| h k l | two_theta | I (rel.) |
| --- | --- | --- |
| 1 1 0 | 16.26 | 100 |
| 0 1 1 | 22.84 | 41 |
| 2 0 1 | 28.17 | 20 |
| 3 0 0 | 28.36 | 16 |
| 1 2 1 | 32.70 | 53 |
| 2 2 0 | 32.86 | 29 |
| 3 1 1 | 40.40 | 24 |
| 1 0 2 | 43.42 | 13 |
| 4 1 0 | 43.95 | 15 |
| 2 3 1 | 47.04 | 19 |

Structure:
Cell: 10.9012 10.9012 4.2733 Å, 90.00 90.00 120.00°
Space group P3m1 (No. 156)
Symmetry-distinct sites (fractional):
Bi: 0.0000 0.0000 0.0000 (multiplicity 1)
Bi: 0.3333 0.6667 0.2954 (multiplicity 1)
Bi: 0.6667 0.3333 0.6421 (multiplicity 1)
C: 0.1815 0.3631 0.8794 (multiplicity 3)
C: 0.2997 0.1499 0.5505 (multiplicity 3)
C: 0.5164 0.0328 0.1998 (multiplicity 3)
O: 0.0641 0.5320 0.3933 (multiplicity 3)
O: 0.1357 0.2713 0.0852 (multiplicity 3)
O: 0.1673 0.0837 0.5684 (multiplicity 3)
O: 0.2479 0.4959 0.8774 (multiplicity 3)
O: 0.3974 0.1987 0.7419 (multiplicity 3)
O: 0.5826 0.1653 0.2146 (multiplicity 3)



Record 2
Diffraction record for FeSnRh2. The powder diffraction line list is simulated, not measured: it uses the PBE geometry in the Materials Project and Cu Kα.

Top 10 peaks for 5 to 70 degrees two-theta, sorted by position:
| h k l | two_theta | I (rel.) |
| --- | --- | --- |
| 1 0 1 | 24.81 | 8 |
| 1 1 0 | 30.36 | 1 |
| 1 1 2 | 39.83 | 100 |
| 2 0 0 | 43.47 | 39 |
| 1 0 3 | 44.12 | 2 |
| 2 1 1 | 50.69 | 3 |
| 0 0 4 | 51.65 | 12 |
| 2 2 0 | 63.16 | 13 |
| 2 1 3 | 63.66 | 2 |
| 2 0 4 | 69.75 | 19 |

Structure:
Cell: 4.1639 4.1639 7.0783 Å, 90.00 90.00 90.00°
Space group I4/mmm (No. 139)
Symmetry-distinct sites (fractional):
Fe: 0.0000 0.0000 0.0000 (multiplicity 2)
Sn: 0.0000 0.0000 0.5000 (multiplicity 2)
Rh: 0.0000 0.5000 0.2500 (multiplicity 4)



Record 3
Diffraction record for BaIn2Au2. The powder diffraction line list is simulated, not measured: it uses the PBE geometry in the Materials Project and Cu Kα.

Top 10 peaks for 5 to 70 degrees two-theta, sorted by position:
| h k l | two_theta | I (rel.) |
| --- | --- | --- |
| 1 0 3 | 23.40 | 25 |
| 2 1 1 | 28.08 | 46 |
| 1 1 3 | 29.88 | 100 |
| 3 0 2 | 33.25 | 31 |
| 3 1 1 | 36.10 | 31 |
| 3 0 3 | 36.98 | 23 |
| 0 2 0 | 37.14 | 56 |
| 0 1 5 | 40.35 | 27 |
| 3 1 3 | 41.57 | 22 |
| 2 1 5 | 45.36 | 25 |

Structure:
Cell: 8.9426 4.8414 12.6015 Å, 90.00 90.00 90.00°
Space group Pnma (No. 62)
Symmetry-distinct sites (fractional):
Ba: 0.2201 0.2500 0.1664 (multiplicity 4)
In: 0.1019 0.2500 0.4507 (multiplicity 4)
In: 0.1406 0.2500 0.8584 (multiplicity 4)
Au: 0.0260 0.7500 0.3361 (multiplicity 4)
Au: 0.0899 0.7500 0.9789 (multiplicity 4)



Record 4
Diffraction record for DyAu. The powder diffraction line list is simulated, not measured: it uses the PBE geometry in the Materials Project and Cu Kα.

Top 5 peaks for 5 to 70 degrees two-theta, sorted by position:
| h k l | two_theta | I (rel.) |
| --- | --- | --- |
| 1 0 0 | 24.68 | 1 |
| 1 1 0 | 35.19 | 100 |
| 2 0 0 | 50.62 | 18 |
| 2 1 0 | 57.10 | 1 |
| 2 1 1 | 63.14 | 37 |

Structure:
Cell: 3.6067 3.6067 3.6067 Å, 90.00 90.00 90.00°
Space group Pm-3m (No. 221)
Symmetry-distinct sites (fractional):
Dy: 0.0000 0.0000 0.0000 (multiplicity 1)
Au: 0.5000 0.5000 0.5000 (multiplicity 1)



Record 5
Diffraction record for Al2CuIr. The powder diffraction line list is simulated, not measured: it uses the PBE geometry in the Materials Project and Cu Kα.

Top 10 peaks for 5 to 70 degrees two-theta, sorted by position:
| h k l | two_theta | I (rel.) |
| --- | --- | --- |
| 0 2 0 | 21.85 | 27 |
| 1 1 1 | 26.71 | 100 |